

Why should we doubt the evidence of dreams? for what is our life, occupied as it is with vain and fleeting imaginations, other than a prolonged vision of the night?

Whatever may be thought of this in general, on the present occasion the dreams of my friends were soon realized. Paul expired two months after the death of his Virginia, whose name dwelt on his lips in his expiring moments. About a week after the death of her son, Margaret saw her last hour approach with that serenity which virtue only can feel. She bade Madame de la Tour a most tender farewell, "in the certain hope," she said, "of a delightful and eternal re-union. Death is the greatest of blessings to us," added she, "and we ought to desire it. If life be a punishment, we should wish for its termination; if it be a trial, we should be thankful that it is short."

The governor took care of Domingo and Mary, who were no longer able to labour, and who survived their mistresses but a short time. As for poor Fidele, he pined to death, soon after he had lost his master.

I afforded an asylum in my dwelling to Madame de la Tour, who bore up under her calamities with incredible elevation of mind. She had endeavoured to console Paul and Margaret till their last moments, as if she herself had no misfortunes of her own to bear. When they were not more, she used to talk to me every day of them as of beloved friends, who were still living near her. She survived them however, but one month. Far from reproaching her aunt for the afflictions she had caused, her benign spirit prayed to God to pardon her, and to appease that remorse which we heard began to torment her, as soon as she had sent Virginia away with so much inhumanity.

Conscience, that certain punishment of the guilty, visited with all its terrors the mind of this unnatural relation. So great was her torment, that life and death became equally insupportable to her.

Sometimes she reproached herself with the untimely fate of her lovely niece, and with the death of her mother, which had immediately followed it. At other times she congratulated herself for having repulsed far from her two wretched creatures, who, she said, had both dishonoured their family by their grovelling inclinations. Sometimes, at the sight of the many miserable objects with which Paris abounds, she would fly into a rage, and exclaim,--"Why are not these idle people sent off to the colonies?" As for the notions of humanity, virtue and religion, adopted by all nations, she said, they were only the inventions of their rulers, to serve political purposes. Then, flying all at once to the other extreme, she abandoned herself to superstitious terrors, which filled her with mortal fears. She would then give abundant alms to the wealthy ecclesiastics who governed her, beseeching them to appease the wrath of God by the sacrifice of her fortune,--as if the offering to Him of the wealth she had withheld from the miserable could please her Heavenly Father! In her imagination she often beheld fields of fire, with burning mountains, wherein hideous spectres wandered about, loudly calling on her by name. She threw herself at her confessor's feet, imagining every description of agony and torture; for Heaven--just Heaven, always sends to the cruel the most frightful views of religion and a future state.

  • 龙珠觉醒


  • 神尊在上,我在下


  • 我和狐仙的生活日记


  • 名震秦淮董小宛之尘埃何处


  • 霸道校草唯爱乖丫头


  • 黎明的使徒


  • 我的故事中有你

-- Misplaced data records --
<<<
# 1
{
  "formula": "C48H95Br28IN2O5P",
  "method": "ωB97M-V/def2-TZVPD",
  "spin_multiplicity": 1,
  "orbital_gap_ev": 7.6,
  "e_tot_ha": -75082.97445,
  "homo_ev": -10.74,
  "lumo_ev": -3.16,
  "total_charge": 1,
  "species": ["C", "C", "C", "C", "C", "C", "N", "N", "C", "C", "C", "O", "C", "C", "O", "C", "C", "C", "C", "P", "O", "O", "C", "C", "O", "C", "C", "C", "I", "H", "H", "H", "H", "H", "H", "H", "H", "H", "H", "H", "H", "H", "H", "H", "H", "H", "H", "H", "H", "H", "H", "H", "H", "H", "H", "H", "H", "H", "H", "H", "H", "H", "H", "H", "H", "H", "H", "H", "Br", "C", "C", "Br", "H", "H", "H", "H", "Br", "C", "C", "Br", "H", "H", "H", "H", "Br", "C", "C", "Br", "H", "H", "H", "H", "Br", "C", "C", "Br", "H", "H", "H", "H", "Br", "C", "C", "Br", "H", "H", "H", "H", "Br", "C", "C", "Br", "H", "H", "H", "H", "Br", "C", "C", "Br", "H", "H", "H", "H", "Br", "C", "C", "Br", "H", "H", "H", "H", "Br", "C", "C", "Br", "H", "H", "H", "H", "Br", "C", "C", "Br", "H", "H", "H", "H", "Br", "C", "C", "Br", "H", "H", "H", "H", "Br", "C", "C", "Br", "H", "H", "H", "H", "Br", "C", "C", "Br", "H", "H", "H", "H", "Br", "C", "C", "Br", "H", "H", "H", "H"],
>>>


  • 挚爱玺


  • 我叫穿越者

### Misplaced quantum chemistry results
~~~
1.
A 2-piece molecular cluster, C3H12NO overall, computed with ωB97M-V/def2-TZVPD.

For the gap between HOMO and LUMO (alpha / beta), the calculation gives 3.778 / 11.267 eV. Its HOMO energy (alpha / beta) is -3.1 / -10.8 eV.

Geometry as ORCA input:
```
! wB97M-V def2-TZVPD RIJCOSX def2/J DEFGRID3
* xyz 0 2
C 2.11993 -0.96252 0.75967
O 0.92552 -1.32193 1.42975
H 2.29828 -1.73398 0.01564
H 2.96152 -0.56692 1.35611
H 2.17498 -0.25467 -0.08559
H 1.15450 -1.16167 2.37528
C -1.85523 1.44166 -0.46747
C -0.54956 0.82377 -0.52680
N -0.68852 -0.59655 -0.68697
H -2.34920 1.62360 -1.43380
H -1.97472 2.41528 0.01602
H -2.39743 0.91305 0.22677
H 0.00093 0.99686 0.38440
H 0.08714 1.18106 -1.39107
H -0.06067 -1.06112 0.03856
H -1.57906 -0.95034 -0.36276
H -0.26840 -0.78555 -1.64775
*
```

2.
An isolated ion of composition C6H10NO and charge +1, computed with ωB97M-V/def2-TZVPD.

For the gap between HOMO and LUMO, the calculation gives 9.807 eV. Its HOMO energy is -13.6 eV. The SMILES is C=C=CC/C(O)=[NH+]/C.

Geometry as ORCA input:
```
! wB97M-V def2-TZVPD RIJCOSX def2/J DEFGRID3
* xyz 1 1
C -1.14439 0.20516 -0.79231
C -0.60633 -1.14707 -0.22855
C -2.20949 0.78729 -0.29914
C -3.35548 1.24848 0.12131
C 0.63816 -0.70428 0.32106
C 2.89875 0.25215 -0.02002
N 1.73817 -0.53572 -0.36727
O 0.68098 -0.23907 1.55080
H -0.40968 0.67826 -1.45562
H -0.47447 -1.74621 -1.15413
H -4.30843 0.91987 -0.24022
H -3.42703 2.07077 0.85940
H -1.23857 -1.67231 0.58080
H 2.64729 1.27952 0.03810
H 3.22737 0.00046 1.00094
H 3.70546 0.07580 -0.65894
H 1.70904 -0.80277 -1.28029
H -0.07135 -0.67033 2.02409
*
```

3.
C22H30BHfN2O2S2 as an isolated structure, computed with ωB97M-V/def2-TZVPD.

For the gap between HOMO and LUMO, the calculation gives 6.947 eV. Its HOMO energy is -10.1 eV.

Geometry as ORCA input:
```
! wB97M-V def2-TZVPD RIJCOSX def2/J DEFGRID3
* xyz 1 1
Hf -0.12483 0.38338 -0.63611
C 1.53677 -2.39925 -0.53791
N 1.59920 -0.98654 -0.90525
C 2.02037 -0.87296 -2.31443
C 0.85360 -0.99076 -3.26884
N -0.04463 0.18050 -3.04312
C 0.49582 1.33098 -3.90263
C -1.43473 -0.07243 -3.40304
C -1.83000 0.26744 -4.72469
C -3.13233 0.28726 -5.03739
C -4.10265 0.00850 -4.05452
C -3.73201 -0.23826 -2.76132
C -2.37775 -0.35903 -2.39694
S -2.18389 -0.91333 -0.69920
C 2.25831 -0.14442 0.10336
C 2.76497 -0.66376 1.29965
C 3.79424 -0.01315 1.94967
C 4.29193 1.21318 1.45902
C 3.64321 1.88859 0.40457
C 2.47842 1.26930 -0.14190
S 1.21766 2.37609 -0.87190
H 2.57511 -2.64833 -0.20469
H 1.22904 -3.07173 -1.34823
H 0.91871 -2.60871 0.34648
H 2.75067 -1.65082 -2.54624
H 2.56719 0.04861 -2.44906
H 0.24923 -1.89531 -3.14892
H 1.13034 -0.94045 -4.34455
H 0.58089 0.94763 -4.96394
H 1.43207 1.80410 -3.54586
H -0.30469 2.06914 -3.84364
H -1.11951 0.39965 -5.49926
H -3.50265 0.59855 -6.02593
H -5.11268 0.01603 -4.40652
H -4.47845 -0.30184 -2.00186
H 2.34608 -1.54885 1.73836
H 4.11546 -0.31617 2.92937
H 5.24314 1.51162 1.90979
H 3.98489 2.85733 0.04634
C -2.37935 -1.19002 3.77471
C -0.97553 -0.65186 3.53486
~~~
### The piece goes on


  • 科幻大反派

